• Excerpt:
+++
Entry 1:
Density functional theory data (ωB97M-V with the def2-TZVPD basis set) for a cluster of 2 separate species, C5H15N3O in total.

Values from the calculation:
Orbital gap = 8.282 eV
LUMO level = 0.77 eV
Total charge = 0

Each line ends with the Löwdin charge.
Atoms and positions in Å:
C 0.715 1.316 -1.152  -0.3181
C 1.205 -1.063 -0.212  -0.0556
C 0.634 -0.786 -2.592  -0.0647
N 0.517 -0.250 -1.228  -0.2591
N -0.651 1.686 -1.073  -0.1150
H -0.967 2.116 -1.937  -0.0008
H -0.592 0.179 -1.038  0.1587
H 1.317 1.645 -2.007  0.1055
H 1.287 1.477 -0.228  0.0958
H 2.280 -1.094 -0.403  0.0923
H 0.812 -2.080 -0.233  0.0861
H 1.017 -0.628 0.769  0.0658
H 1.677 -0.810 -2.914  0.0899
H 0.059 -0.143 -3.260  0.0905
H 0.222 -1.795 -2.632  0.0879
C -0.851 1.570 2.199  -0.0868
C -1.339 -1.856 2.269  -0.0453
O -0.508 0.183 2.405  -0.2407
N -1.588 -0.627 2.075  -0.0261
H -1.038 1.772 1.140  0.0376
H -1.714 1.836 2.813  0.0771
H 0.024 2.122 2.542  0.0823
H -0.387 -2.214 2.659  0.0780
H -2.133 -2.554 2.038  0.0646

---

Entry 2:
Density functional theory data (ωB97M-V with the def2-TZVPD basis set) for the molecule C5H15N3O at a distorted geometry.

Values from the calculation:
Orbital gap = 8.718 eV
LUMO level = 0.77 eV
SMILES string = C[C@@H](O)C(N)(N)N(C)C
Total charge = 0

Each line ends with the Löwdin charge.
Atoms and positions in Å:
C 0.969 1.858 0.125  0.0095
C 0.548 0.790 -1.290  -0.2189
O 1.739 0.104 -1.666  -0.0713
C -0.499 -0.118 -0.619  -0.6091
N -0.636 -1.479 -1.139  0.1075
N -1.777 0.520 -0.809  0.0922
N -0.075 -0.174 0.822  -0.2636
C -1.145 -0.498 1.757  -0.1002
C 1.086 -1.024 1.085  -0.0973
H 1.910 2.235 -0.264  0.0426
H 0.200 2.618 0.070  0.0453
H 1.211 1.642 1.164  0.0583
H 0.085 1.284 -2.157  0.1333
H 1.574 -0.417 -2.462  0.0906
H -1.075 -1.423 -2.052  0.0793
H 0.280 -1.898 -1.267  0.0664
H -1.793 1.443 -0.397  0.0806
H -2.524 -0.033 -0.408  0.0784
H -1.910 0.276 1.745  0.0705
H -0.728 -0.546 2.763  0.0811
H -1.599 -1.469 1.518  0.0807
H 0.819 -2.089 1.082  0.0838
H 1.852 -0.845 0.334  0.0742
H 1.487 -0.754 2.066  0.0861

---

Entry 3:
Density functional theory data (ωB97M-V with the def2-TZVPD basis set) for a cluster of 2 separate species, C5H15N3O in total at a distorted geometry.

Values from the calculation:
Orbital gap = 8.679 eV
LUMO level = 0.76 eV
SMILES string = [H]/N=C(/N)O.CCN(C)C
Total charge = 0

Each line ends with the Löwdin charge.
Atoms and positions in Å:
H 0.290 1.805 -2.167  0.0632
N -0.247 1.173 -1.584  0.1341
C -0.596 0.108 -2.193  -0.5851
N -1.304 -0.912 -1.590  0.1277
O -0.563 0.052 -3.565  0.0521
H -2.229 -1.071 -1.966  0.0976
H -1.269 -0.845 -0.573  0.0621
H -0.910 -0.794 -3.873  0.0964
C 2.003 -0.565 -0.231  -0.1220
C 1.013 -0.882 0.859  -0.1536
N -0.264 0.210 1.055  -0.2856
C 0.096 1.580 1.378  -0.1462
C -1.216 -0.279 2.033  -0.1580
H 1.948 0.439 -0.644  0.0516
H 1.984 -1.349 -0.990  0.0720
H 3.002 -0.560 0.206  0.0661
H 1.491 -0.786 1.842  0.0922
H 0.643 -1.905 0.796  0.0940
H 0.747 1.975 0.598  0.0540
H -0.807 2.197 1.387  0.0833
H 0.610 1.669 2.347  0.0772
H -2.127 0.325 2.010  0.0809
H -0.813 -0.271 3.057  0.0759
H -1.482 -1.313 1.809  0.0702

---

Entry 4:
Density functional theory data (ωB97M-V with the def2-TZVPD basis set) for a cluster of 2 separate species, C5H15N4 in total at a distorted geometry.

Values from the calculation:
Orbital gap = 8.198 eV
LUMO level = -4.06 eV
Total charge = +1

Each line ends with the Löwdin charge.
Atoms and positions in Å:
C -1.425 0.111 2.594  0.1591
C -1.286 0.812 1.423  -0.0333
C 1.474 -1.884 -0.910  -0.2437
C 0.388 -0.849 -0.680  -0.3178
C -0.110 2.816 0.265  -0.1174
N 0.866 -3.200 -1.075  -0.0091
N 0.155 2.759 -1.169  0.0476
N -0.621 -1.366 0.126  -0.0019
N -1.249 1.752 0.609  0.1163
H -1.318 -0.903 2.485  0.0341
H -1.410 0.606 3.519  0.0783
H 1.951 -1.863 0.058  0.1099
H 2.195 -1.728 -1.722  0.1181
H 0.934 0.021 -0.305  0.0985
H -0.239 -0.436 -1.424  0.0998
H -0.606 3.730 0.610  0.1303
H 0.851 2.616 0.679  0.1186
H 0.783 -3.519 -2.065  0.1019
+++

• Request:
It remains to copy every line earlier on that contains the word "molecule".

• Solution:
Density functional theory data (ωB97M-V with the def2-TZVPD basis set) for the molecule C5H15N3O at a distorted geometry.